A several tenth deal for/one 70/97
Num_28:20....a/ram A several tenth deal shalt/thou 64/97 A several tenth deal unto/one 66/97
Job_32:2....of/Ram against/Job......... 81/97
Num_28:14....a/ram and a fourth/part... 62/97 And a several/tenth. 61/97 and Aaron and his sons shall put their hands upon the head of the ram And/thou 4/97
Exo_29:19other/ram and Aaron and his sons shall put their hands upon the head of the ram Then/shalt 9/97
Eze_45:24....a/ram and an/hin.......... 84/97
Num_23:2.....a/ram And Balaam/said..... 56/97
Dan_8:7....the/ram and brake/his....... 94/97
1Ch_2:9....and/Ram and Chelubai/And.... 76/97
Eze_46:7.....a/ram and for the lambs according/as 88/97
Num_29:37..the/ram and for the lambs shall/be 73/97
Lev_8:18...the/ram And he killed/it.... 23/97
Lev_8:22...the/ram And he slew/it...... 28/97
Dan_8:7....the/ram and he was/moved.... 93/97
Gen_22:13..the/ram and offered/him...... 3/97
Num_29:3.....a/ram And one tenth/deal.. 68/97
Num_6:19...the/ram and one unleavened/cake 41/97
Rut_4:19.begat/Ram and Ram/begat....... 74/97 and seven lambs of the first year they shall be unto you without blemish And their meat offering shall be of flour mingled with oil three tenth deals shall/ye 63/97 and seven lambs of the first year they shall be unto you without blemish And their meat offering shall be of flour mingled with oil three tenth deals to/a 69/97 and seven lambs of the first year without/blemish 67/97
Exo_29:20..the/ram and take/of......... 11/97
Exo_29:32..the/ram and the bread/that.. 17/97
Num_23:4.....a/ram And the LORD/put.... 57/97
Eze_46:5.....a/ram and the meat/offering 86/97
Exo_29:15..the/ram And thou shalt slay/the 5/97
_Between two parts of the entry: crystal structures_
┌──
First-principles (PBE) data for crystalline Pr2Ga2Co at its relaxed geometry, as listed in Alexandria.

Cell: 4.4557 5.8339 9.5135 Å, 82.54 76.46 67.55°
Element x y z (fractional)
Pr1 0.6707 0.3309 0.3278
Pr2 0.9131 0.2826 0.8911
Pr3 0.3293 0.6691 0.6722
Pr4 0.0869 0.7174 0.1089
Ga1 0.0938 0.2491 0.5633
Ga2 0.6219 0.8858 0.8704
Ga3 0.9062 0.7509 0.4367
Ga4 0.3781 0.1142 0.1296
Co1 0.6554 0.0731 0.6162
Co2 0.3446 0.9269 0.3838

## Properties
* symmetry: C2/m
* DFT formation energy: -42.8 kJ/mol of atoms
* total energy: -4.9873 eV per atom

----------

# 1
Pr2TcNi: optimized geometry, PBE.

Cell and atoms, written as extended XYZ:
```
4
Lattice="3.429 0.000 0.000 1.714 2.969 0.000 1.714 0.990 9.463" Properties=species:S:1:pos:R:3 pbc="T T T"
Pr 1.714 0.990 6.744
Pr 5.143 2.969 2.719
Ni 3.429 1.980 4.732
Tc 0.000 0.000 0.000
```

Output
V in Å³/cell: 96.3
Magnetic moment in μB per atom: 0.229
Energy relative to the elements in eV/atom: 0.76

***

# 2
AlPd2Au: optimized geometry, PBE.

Cell and atoms, written as extended XYZ:
```
4
Lattice="-2.534 -1.111 2.662 0.304 -3.797 -1.296 3.008 -0.644 2.594" Properties=species:S:1:pos:R:3 pbc="T T T"
Au -1.267 -0.556 1.331
Al 0.389 -2.776 1.980
Pd 1.504 -0.322 1.297
Pd 0.152 -1.899 -0.648
```

Output
V in Å³/cell: 62.2
Magnetic moment in μB per atom: 0.000
Energy relative to the elements in eV/atom: -0.58

***

# 3
ScP: optimized geometry, PBE.

Cell and atoms, written as extended XYZ:
```
6
Lattice="1.090 -1.099 4.942 3.968 0.336 3.312 -0.520 5.508 3.927" Properties=species:S:1:pos:R:3 pbc="T T T"
Sc 2.917 3.279 8.030
Sc 4.750 1.442 9.649
Sc 4.065 -0.441 6.784
P -0.052 5.385 4.645
P 1.148 1.767 3.580
P 1.542 3.597 5.885
```

Output
V in Å³/cell: 109.5
Magnetic moment in μB per atom: 0.000
Energy relative to the elements in eV/atom: -1.19

***

# 4
Ca3SmZr2As6: optimized geometry, PBE.

Cell and atoms, written as extended XYZ:
```
12
Lattice="-2.352 5.755 3.281 -0.760 -6.317 2.988 7.139 0.918 0.984" Properties=species:S:1:pos:R:3 pbc="T T T"
Ca 2.551 -3.898 3.528
Ca 1.476 4.253 3.725
Ca 2.013 0.178 3.626
Sm 0.000 0.000 0.000
Zr -1.289 -2.305 3.085
Zr -1.823 1.742 3.183
As 2.880 2.389 5.497
As -0.625 -0.199 4.789
As 1.146 -2.033 1.756
As 3.436 -1.820 5.395
As 4.652 0.554 2.463
As 0.591 2.175 1.858
```

Output
V in Å³/cell: 293.8
Magnetic moment in μB per atom: 0.000
Energy relative to the elements in eV/atom: -1.19

***

# 5
Nd6RhS5: optimized geometry, PBE.

Cell and atoms, written as extended XYZ:
```
12
Lattice="6.971 -0.099 -1.316 -3.758 5.872 -1.316 0.132 0.238 7.078" Properties=species:S:1:pos:R:3 pbc="T T T"
Rh 0.000 0.000 0.000
S 5.219 1.032 2.223
S 3.391 1.894 -1.316
S 1.673 3.006 2.223
S -0.178 3.880 -1.316
S -1.874 4.980 2.223
Nd 2.605 0.499 1.097
Nd 4.294 3.534 3.348
Nd 0.899 1.615 4.655
Nd 2.447 4.397 -0.209
Nd -0.949 2.477 1.097
Nd 0.740 5.512 3.348
```

Output
ΔE_f (raw) in eV/atom: -1.786
V in Å³/cell: 291.5
Magnetic moment in μB per atom: 0.000

***

# 6
CsSi2Te8Ir: optimized geometry, PBE.
└──
_Back to the entry_
Exo_29:16..the/ram and thou shalt take/his 6/97
Eze_46:11....a/ram and to/the.......... 89/97
Rut_4:19...and/Ram begat Amminadab And Amminadab begat Nahshon and/Nahshon 75/97
What comes next are crystal structures, not part of the entry >
~~~
# K2Sn2Sb

A geometry-optimized K2Sn2Sb structure (GGA-PBE, Alexandria via LeMat-Bulk).

The space group is P4/mbm (No. 127) and the conventional cell measures 10.393, 10.393 and 3.226 Å, with angles of 90.00, 90.00 and 90.00 degrees. The asymmetric unit holds K at (0.202, 0.298, 0.000), Sn at (0.095, 0.595, 0.500) and Sb at (0.000, 0.000, 0.500).

The calculation puts the volume at 34.84 Å³/atom. The value obtained for the density of states at the Fermi level is 3.9 states/eV/cell. The value obtained for the uncorrected formation energy is 0.0217 eV per atom.



# Ce2HoGa3Pt4

A geometry-optimized Ce2HoGa3Pt4 structure (GGA-PBE, Alexandria via LeMat-Bulk).

The space group is P-4m2 (No. 115) and the conventional cell measures 4.218, 4.218 and 11.523 Å, with angles of 90.00, 90.00 and 90.00 degrees. The asymmetric unit holds Ce at (0.000, 0.500, 0.232), Ho at (0.000, 0.000, 0.500), Ga at (0.000, 0.500, 0.876), Ga at (0.500, 0.500, 0.500), Pt at (0.000, 0.000, 0.000), Pt at (0.000, 0.500, 0.659) and Pt at (0.500, 0.500, 0.000).

The calculation puts the volume at 20.50 Å³/atom. Its energy of formation is -0.938 eV/atom. The value obtained for the density of states at the Fermi level is 14.9 states/eV/cell.



# Ce2PmPr

A geometry-optimized Ce2PmPr structure (GGA-PBE, Alexandria via LeMat-Bulk).

The space group is R-3m (No. 166, hexagonal axes) and the conventional cell measures 3.4369, 3.4369 and 37.4081 Å, with angles of 90.00, 90.00 and 120.00 degrees. The asymmetric unit holds Ce at (0.0000, 0.0000, 0.0874), Pm at (0.0000, 0.0000, 0.5000) and Pr at (0.0000, 0.0000, 0.0000).

The calculation puts the volume at 31.89 Å³/atom. Its energy of formation is 0.241 eV/atom. The value obtained for the density of states at the Fermi level is 33.0 states/eV/cell.



# La12Tl3Ag

A geometry-optimized La12Tl3Ag structure (GGA-PBE, Alexandria via LeMat-Bulk).

The space group is P4/mmm (No. 123) and the conventional cell measures 5.069, 5.069 and 20.108 Å, with angles of 90.00, 90.00 and 90.00 degrees. The asymmetric unit holds La at (0.000, 0.000, 0.000), La at (0.000, 0.000, 0.247), La at (0.000, 0.000, 0.500), La at (0.000, 0.500, 0.122), La at (0.000, 0.500, 0.374), Tl at (0.500, 0.500, 0.247), Tl at (0.500, 0.500, 0.500) and Ag at (0.500, 0.500, 0.000).

The calculation puts the volume at 32.29 Å³/atom. Its energy of formation is -0.185 eV/atom. The value obtained for the density of states at the Fermi level is 23.3 states/eV/cell.



# LaSc2

A geometry-optimized LaSc2 structure (GGA-PBE, Alexandria via LeMat-Bulk).

The space group is C2/c (No. 15) and the conventional cell measures 10.399, 6.026 and 6.422 Å, with angles of 90.00, 122.24 and 90.00 degrees. The asymmetric unit holds La at (0.000, 0.094, 0.250) and Sc at (0.164, 0.421, 0.758).

The calculation puts the volume at 28.36 Å³/atom. Its energy of formation is 0.068 eV/atom. The value obtained for the density of states at the Fermi level is 19.4 states/eV/cell.



# TlCd2InHg4
~~~
1Ch_2:10...And/Ram begat Amminadab and Amminadab begat Nahshon prince/of 77/97
Gen_22:13....a/ram caught/in............ 2/97 for a burnt offering And/Aaron 35/97
Lev_16:3.....a/ram for a burnt offering He/shall 34/97
Lev_9:2......a/ram for a burnt offering without/blemish 30/97
Num_6:17...the/ram for a sacrifice of peace offerings unto/the 40/97
Lev_9:18...the/ram for a sacrifice of peace offerings which/was 32/97
Lev_19:21....a/ram for a trespass/offering 36/97
Lev_9:4......a/ram for peace/offerings. 31/97
Lev_8:18...the/ram for the/burnt....... 22/97
Exo_29:17..the/ram in/pieces............ 7/97
Lev_8:20...the/ram into/pieces......... 24/97
Exo_29:26..the/ram of Aaron's/consecration 14/97
Lev_8:22...the/ram of consecration and Aaron/and 27/97
Exo_29:22....a/ram of consecration And one/loaf 13/97
Lev_8:29...the/ram of consecration it/was 29/97
Num_5:8....the/ram of the atonement/whereby 38/97
Materials data from another source follow >
-- begin --
1.
Entry from OQMD: a relaxed structure of TaGaFeHg (GGA-PBE).

```
TaGaFeHg
1.0
0.000 3.210 3.210
3.210 0.000 3.210
3.210 3.210 0.000
Fe Ga Hg Ta
1 1 1 1
Cartesian
4.815 4.815 4.815
0.000 0.000 0.000
3.210 3.210 3.210
1.605 1.605 1.605
```

Values from the calculation:
SG: F-43m (216)
Volume in Å³/cell: 66.2



2.
Entry from OQMD: a relaxed structure of TaGaFeHg (GGA-PBE).

```
TaGaFeHg
1.0
0.000 3.207 3.207
3.207 0.000 3.207
3.207 3.207 0.000
Fe Ga Hg Ta
1 1 1 1
Cartesian
4.811 4.811 4.811
0.000 0.000 0.000
1.604 1.604 1.604
3.207 3.207 3.207
```

Values from the calculation:
SG: F-43m (216)
Volume in Å³/cell: 66.0



Which one sits at the bottom of the stability order? 2 does.

* * * * *

(1)
Material: Ba2TlZn2Pd5
Method: DFT, PBE
State: relaxed

Output
SG: P4/mbm (127)
Formation energy from the elements (kJ/mol of atoms): -41.1
DOS at the Fermi energy (states/eV/f.u.): 4.72

abc: 10.505 10.505 3.823
angles: 90.00 90.00 90.00
Element x y z (fractional)
Ba 0.181 0.319 0.000
Ba 0.319 0.819 0.000
Ba 0.681 0.181 0.000
Ba 0.819 0.681 0.000
Tl 0.000 0.000 0.000
Tl 0.500 0.500 0.000
Zn 0.116 0.616 0.000
Zn 0.384 0.116 0.000
Zn 0.616 0.884 0.000
Zn 0.884 0.384 0.000
Pd 0.000 0.500 0.500
Pd 0.063 0.783 0.500
Pd 0.217 0.063 0.500
Pd 0.283 0.563 0.500
Pd 0.437 0.283 0.500
Pd 0.500 0.000 0.500
Pd 0.563 0.717 0.500
Pd 0.717 0.437 0.500
Pd 0.783 0.937 0.500
Pd 0.937 0.217 0.500

***

(2)
Material: HfCuPdPb
Method: DFT, PBE
State: relaxed

Output
SG: F-43m (216)
Formation energy from the elements (kJ/mol of atoms): -17.5
DOS at the Fermi energy (states/eV/f.u.): 2.30

abc: 4.704 4.704 4.704
angles: 60.00 60.00 60.00
Element x y z (fractional)
Hf 0.000 0.000 0.000
Cu 0.250 0.250 0.250
Pd 0.750 0.750 0.750
Pb 0.500 0.500 0.500

***

(3)
Material: Rb2CaLaS
Method: DFT, PBE
State: relaxed

Output
Formation energy (no corrections) (eV per atom): -0.027
SG: P4/mmm (123)
DOS at the Fermi energy (states/eV/f.u.): 5.21

abc: 8.198 8.198 5.259
angles: 90.00 90.00 90.00
Element x y z (fractional)
Rb 0.000 0.500 0.000
Rb 0.500 0.000 0.000
Ca 0.000 0.000 0.500
La 0.500 0.500 0.000
S 0.500 0.500 0.500

***

(4)
Material: Pr5AgTe8
Method: DFT, PBE
State: relaxed

Output
Formation energy (no corrections) (eV per atom): -1.289
SG: I-4 (82)

abc: 8.302 8.302 8.302
angles: 110.18 110.18 108.06
Element x y z (fractional)
Pr 0.000 0.000 0.000
Pr 0.255 0.135 0.627
Pr 0.372 0.745 0.879
Pr 0.508 0.628 0.373
Pr 0.865 0.492 0.121
Ag 0.750 0.250 0.500
Te 0.107 0.363 0.885
Te 0.142 0.384 0.399
Te 0.257 0.858 0.243
Te 0.478 0.222 0.115
Te 0.616 0.015 0.757
Te 0.637 0.522 0.744
Te 0.778 0.893 0.256
Te 0.985 0.743 0.601

***

(5)
Material: Dy6Tm8Zr
Method: DFT, PBE
State: relaxed

Output
SG: R-3 (148)
Formation energy from the elements (kJ/mol of atoms): 20.5
DOS at the Fermi energy (states/eV/f.u.): 18.36

abc: 7.995 7.995 7.995
angles: 73.25 73.25 73.25
Element x y z (fractional)
Dy 0.069 0.618 0.283
Dy 0.283 0.069 0.618
Dy 0.382 0.717 0.931
Dy 0.618 0.283 0.069
Dy 0.717 0.931 0.382
-- stop --
The materials data stop here >
Exo_29:31..the/ram of the consecration and/seethe 16/97
Exo_29:27..the/ram of the consecration even/of 15/97
Ezr_10:19....a/ram of the flock/for.... 80/97
Lev_5:16...the/ram of the trespass offering and/it 19/97
Lev_19:22..the/ram of the trespass offering before/the 37/97
Num_29:14.each/ram of the two/rams..... 71/97
Gen_15:9.....a/ram of three/years....... 1/97
Num_23:14....a/ram on every altar And he/said 58/97
Num_23:30....a/ram on every altar And when/Balaam 59/97 one lamb of the first year for a burnt offering One kid of the goats for a sin offering And for a sacrifice of peace offerings two oxen five rams five he goats five lambs of the first year this was the offering of Abidan/the 50/97 one lamb of the first year for a burnt offering One kid of the goats for a sin offering And for a sacrifice of peace offerings two oxen five rams five he goats five lambs of the first year this was the offering of Ahiezer/the 51/97 one lamb of the first year for a burnt offering One kid of the goats for a sin offering And for a sacrifice of peace offerings two oxen five rams five he goats five lambs of the first year this was the offering of Ahira/the 53/97 one lamb of the first year for a burnt offering One kid of the goats for a sin offering And for a sacrifice of peace offerings two oxen five rams five he goats five lambs of the first year this was the offering of Eliab/the 44/97 one lamb of the first year for a burnt offering One kid of the goats for a sin offering And for a sacrifice of peace offerings two oxen five rams five he goats five lambs of the first year this was the offering of Eliasaph/the 47/97 one lamb of the first year for a burnt offering One kid of the goats for a sin offering And for a sacrifice of peace offerings two oxen five rams five he goats five lambs of the first year this was the offering of Elishama/the 48/97 one lamb of the first year for a burnt offering One kid of the goats for a sin offering And for a sacrifice of peace offerings two oxen five rams five he goats five lambs of the first year this was the offering of Elizur/the 45/97 one lamb of the first year for a burnt offering One kid of the goats for a sin offering And for a sacrifice of peace offerings two oxen five rams five he goats five lambs of the first year this was the offering of Gamaliel/the 49/97 one lamb of the first year for a burnt offering One kid of the goats for a sin offering And for a sacrifice of peace offerings two oxen five rams five he goats five lambs of the first year this was the offering of Nahshon/the 42/97 one lamb of the first year for a burnt offering One kid of the goats for a sin offering And for a sacrifice of peace offerings two oxen five rams five he goats five lambs of the first year this was the offering of Nethaneel/the 43/97 one lamb of the first year for a burnt offering One kid of the goats for a sin offering And for a sacrifice of peace offerings two oxen five rams five he goats five lambs of the first year this was the offering of Pagiel/the 52/97 one lamb of the first year for a burnt offering One kid of the goats for a sin offering And for a sacrifice of peace offerings two oxen five rams five he goats five lambs of the first year this was the offering of Shelumiel/the 46/97 or/for.............. 55/97
Dan_8:7....the/ram out of his/hand..... 96/97
Eze_43:23....a/ram out of the flock without blemish And/thou 82/97
Eze_43:25....a/ram out of the flock without blemish Seven/days 83/97
Dan_8:4....the/ram pushing/westward.... 91/97 seven lambs of the first year And/their 65/97 seven lambs of the first year without blemish/Their 72/97 seven lambs of the first year without spot/And 60/97
Dan_8:6....the/ram that/had............ 92/97
Exo_29:22..the/ram the fat/and......... 12/97
1Ch_2:25..were/Ram the firstborn and/Bunah 78/97
1Ch_2:27....of/Ram the firstborn of/Jerahmeel 79/97
Lev_8:22.other/ram the ram/of.......... 26/97
Lev_9:19...the/ram the rump/and........ 33/97
Exo_29:19..the/ram Then/shalt.......... 10/97
Eze_46:6.....a/ram they/shall.......... 87/97
Num_15:6.....a/ram thou/shalt.......... 54/97
Dan_8:7....the/ram to/stand............ 95/97
Exo_29:18whole/ram upon the altar it is/a 8/97
Lev_8:21.whole/ram upon the altar it was/a 25/97
Dan_8:3......a/ram which had/two....... 90/97
Dan_8:20...The/ram which thou/sawest... 97/97
Eze_46:4.....a/ram without blemish And/the 85/97 without blemish for/peace 39/97
Lev_6:6......a/ram without blemish out of the flock with thy estimation for a trespass offering unto the priest And the priest shall make an atonement for him before/the 21/97
Lev_5:18.....a/ram without blemish out of the flock with thy estimation for a trespass offering unto the priest and the priest shall make an atonement for him concerning/his 20/97
Lev_5:15.....a/ram without blemish out of the flocks/with 18/97